********
The ion C6H11N4O with charge +1 at a distorted geometry. Source: the Open Molecules 2025 dataset; level of theory: wB97M-V/def2-TZVPD.

```
22
Properties=species:S:1:pos:R:3:mulliken_charge:R:1
C -0.73 2.52 -2.53 -0.04
C -0.78 0.85 -1.21 0.61
C 0.52 1.18 -1.48 -0.08
C -1.32 -0.19 -0.33 -0.65
C 0.93 -1.24 0.11 -0.59
C -0.97 -1.54 1.67 -1.05
N -1.54 1.79 -1.85 -0.58
N 2.03 -0.41 0.06 -0.15
N 2.50 0.31 1.06 -0.32
N -0.36 -0.61 0.74 0.07
O 0.52 2.24 -2.32 -0.26
H -1.00 3.40 -3.20 0.34
H -2.28 0.25 0.14 0.31
H -1.53 -1.03 -0.95 0.40
H 0.66 -1.50 -0.83 0.36
H 1.32 -2.17 0.56 0.41
H -1.38 -2.44 1.37 0.45
H -0.38 -1.98 2.46 0.41
H -1.77 -0.95 2.28 0.36
H 3.37 0.89 0.90 0.27
H 2.27 0.30 2.10 0.24
H -0.09 0.30 1.25 0.51
```

The calculation puts the energy above the lowest of the compared OMol25 structures with the same formula, charge and spin at 585.3 kJ/mol. The largest force on an atom comes out at 4.98 eV Å⁻¹. As for the frontier orbital gap (spin up / spin down): 0.269 / 0.342 Eh. Its HOMO energy (spin up / spin down) is -12.13 / -13.13 eV. Its charge is +1.
********

What is needed: copy all of the block earlier on with every line break kept.

The ion C6H11N4O with charge +1 at a distorted geometry. Source: the Open Molecules 2025 dataset; level of theory: wB97M-V/def2-TZVPD.

```
22
Properties=species:S:1:pos:R:3:mulliken_charge:R:1
C -0.73 2.52 -2.53 -0.04
C -0.78 0.85 -1.21 0.61
C 0.52 1.18 -1.48 -0.08
C -1.32 -0.19 -0.33 -0.65
C 0.93 -1.24 0.11 -0.59
C -0.97 -1.54 1.67 -1.05
N -1.54 1.79 -1.85 -0.58
N 2.03 -0.41 0.06 -0.15
N 2.50 0.31 1.06 -0.32
N -0.36 -0.61 0.74 0.07
O 0.52 2.24 -2.32 -0.26
H -1.00 3.40 -3.20 0.34
H -2.28 0.25 0.14 0.31
H -1.53 -1.03 -0.95 0.40
H 0.66 -1.50 -0.83 0.36
H 1.32 -2.17 0.56 0.41
H -1.38 -2.44 1.37 0.45
H -0.38 -1.98 2.46 0.41
H -1.77 -0.95 2.28 0.36
H 3.37 0.89 0.90 0.27
H 2.27 0.30 2.10 0.24
H -0.09 0.30 1.25 0.51
```

The calculation puts the energy above the lowest of the compared OMol25 structures with the same formula, charge and spin at 585.3 kJ/mol. The largest force on an atom comes out at 4.98 eV Å⁻¹. As for the frontier orbital gap (spin up / spin down): 0.269 / 0.342 Eh. Its HOMO energy (spin up / spin down) is -12.13 / -13.13 eV. Its charge is +1.